Sunday, May 12, 2013

Calling out all whiny cows!

### Inserted here: records of crystals
=====
Entry 1:
NdGePd2: simulated X-ray powder pattern (Cu Ka), based on a PBE-relaxed structure.
Neutral-atom scattering factors, no anomalous dispersion.

Lattice parameters (Å, degrees): 7.594 7.140 5.802 90.00 90.00 90.00
Atoms (fractional coordinates):
Nd (0.024, 0.250, 0.145)
Nd (0.476, 0.750, 0.645)
Nd (0.524, 0.250, 0.355)
Nd (0.976, 0.750, 0.855)
Ge (0.122, 0.750, 0.357)
Ge (0.378, 0.250, 0.857)
Ge (0.622, 0.750, 0.143)
Ge (0.878, 0.250, 0.643)
Pd (0.181, 0.053, 0.589)
Pd (0.181, 0.447, 0.589)
Pd (0.319, 0.553, 0.089)
Pd (0.319, 0.947, 0.089)
Pd (0.681, 0.053, 0.911)
Pd (0.681, 0.447, 0.911)
Pd (0.819, 0.553, 0.411)
Pd (0.819, 0.947, 0.411)

Main lines, by intensity (15 to 90 degrees two-theta):
35.43 deg, intensity 100
34.48 deg, intensity 72
38.81 deg, intensity 68
30.80 deg, intensity 54
37.91 deg, intensity 46
42.75 deg, intensity 43
41.85 deg, intensity 38
31.70 deg, intensity 37
33.05 deg, intensity 27
40.95 deg, intensity 27
62.39 deg, intensity 22
52.29 deg, intensity 17

Entry 2:
Gd2AlGe2: simulated X-ray powder pattern (Cu Ka), based on a PBE-relaxed structure.
Neutral-atom scattering factors, no anomalous dispersion.

Lattice parameters (Å, degrees): 5.898 5.898 7.786 103.28 103.28 57.78
Atoms (fractional coordinates):
Gd (0.015, 0.275, 0.147)
Gd (0.275, 0.015, 0.647)
Gd (0.725, 0.985, 0.353)
Gd (0.985, 0.725, 0.853)
Al (0.337, 0.663, 0.250)
Al (0.663, 0.337, 0.750)
Ge (0.234, 0.491, 0.502)
Ge (0.491, 0.234, 0.002)
Ge (0.509, 0.766, 0.998)
Ge (0.766, 0.509, 0.498)

Main lines, by intensity (15 to 90 degrees two-theta):
36.75 deg, intensity 100
38.10 deg, intensity 71
31.73 deg, intensity 70
33.64 deg, intensity 68
25.68 deg, intensity 62
36.05 deg, intensity 59
39.83 deg, intensity 51
34.77 deg, intensity 49
33.43 deg, intensity 47
30.73 deg, intensity 41
63.15 deg, intensity 33
22.77 deg, intensity 31

Entry 3:
Dy2Ge5Ir3: simulated X-ray powder pattern (Cu Ka), based on a PBE-relaxed structure.
Neutral-atom scattering factors, no anomalous dispersion.

Lattice parameters (Å, degrees): 8.395 8.395 8.395 104.51 90.43 137.89
Atoms (fractional coordinates):
Dy (0.134, 0.226, 0.361)
Dy (0.366, 0.726, 0.092)
Dy (0.634, 0.274, 0.908)
Dy (0.866, 0.774, 0.639)
Ge (0.027, 0.750, 0.277)
Ge (0.098, 0.662, 0.760)
Ge (0.250, 0.250, 0.000)
Ge (0.402, 0.162, 0.564)
Ge (0.473, 0.750, 0.723)
Ge (0.527, 0.250, 0.277)
Ge (0.598, 0.838, 0.436)
Ge (0.750, 0.750, 0.000)
Ge (0.902, 0.338, 0.240)
Ge (0.973, 0.250, 0.723)
Ir (0.142, 0.889, 0.031)
Ir (0.250, 0.750, 0.500)
Ir (0.358, 0.389, 0.747)
Ir (0.642, 0.611, 0.253)
Ir (0.750, 0.250, 0.500)
Ir (0.858, 0.111, 0.969)

Main lines, by intensity (15 to 90 degrees two-theta):
33.69 deg, intensity 100
42.83 deg, intensity 90
34.48 deg, intensity 64
35.01 deg, intensity 54
24.18 deg, intensity 30
31.83 deg, intensity 25
55.20 deg, intensity 25
49.30 deg, intensity 24
44.74 deg, intensity 23
55.93 deg, intensity 20
46.43 deg, intensity 20
61.49 deg, intensity 18

Entry 4:
=====

As I stated in my last post, some pregnant women just want a pity party. Yeah, vomiting up stomach acid, nausea, getting bigger, cankles (damn, you can't strap on your sexy DVF wedges) isn't fun. BUT, you have a opportunity to carry and grow your child. I know a couple of women who will never be able to do that. Be grateful for that you are experiencing this, the good greatly outweighs the bad.

Now that I'm on the other side, I'd like to point out the "difficult", and bitched about times during pregnancy. Note, this doesn't include women who are having a complicated pregnancy or are high risk.

1. Morning sickness. Boohoo. Puking isnt fun, but it can be part of the baby deal. It's most prominent in the first tri, but is possible to last throughout the pregnancy. Yeah, I've thrown up some, but I ate some salty crackers, ginger ale, and brush my teeth, then go about my day. Also as long as you eat small meals, stay away from junk or greased foods, then you will be fine. True story. For now, suck it up.

2. Weight gain. Seriously?! We can't all be those women who gain just a belly. Your arse is gonna grow, your boobs, and thighs. Your body has to accommodate the life growing inside of you, if you look like a house, keep in mind someone is renting for a short while!! Also don't take that eating for 2 to heart. You're only supposed to consume an extra 300 Kcal a day. Perhaps lay off the Taco Bell and donuts. It's better for baby if you eat fruit.

3. Cankles. Maybe you should take a closer look at your sodium intake. And keep your feet elevated. Or don't step out of your home because you can't be seen with cankles. It's nothing to cry over and comes with the territory.

4. Clothes not fitting or maternity wear is hideous. Duh, you're going to gain weight! Yes, maternity wear is very matronly. But what do you want, you're gonna be a mother? Sorry you can't wear you're boobalicious tops anymore.

5. I'm so tired all the time. Ok, first tri can be tiresome...this is the major part of growth and development of your baby. You don't have energy to even change out of your pjs. The simple and most logic answer is to let the house chores slide, cut down a day at work, and get more rest. You're tired, go to bed!!! I do!

There's probably more but I just highlighted the ones I hear most about. I wouldn't dare say any of these make pregnancy difficult to cope with. Getting pregnant for some is the hardest part!! In my opinion, 9 months of pregnancy is a piece of cake compared to years of infertility. There's no comparison at all.


  1. lol, you're soooo not going to fit in on pregnancy forums. ;)

    1. Nope! I've browsed a few and it is nothing but, whine, whine, whine! Not my scene at all. Lol.
